Data
- - -
1.
Density functional theory data (PBE) for BaSn2S5 after structural relaxation.

Cell: 6.7520 10.8290 11.6401 Å, 90.00 90.00 90.00°
With the nearest neighbours (Å) after each atom.
Atoms (fractional coordinates):
1 Ba 0.2500 0.2500 0.8019  10 S 3.27-3.61
2 Ba 0.7500 0.7500 0.6981  10 S 3.27-3.61
3 Ba 0.7500 0.7500 0.1981  10 S 3.27-3.61
4 Ba 0.2500 0.2500 0.3019  10 S 3.27-3.61
5 Sn 0.2464 0.5593 0.5273  5 S 2.46-2.62
6 Sn 0.2536 0.9407 0.5273  5 S 2.46-2.62
7 Sn 0.7464 0.4407 0.9727  5 S 2.46-2.62
8 Sn 0.7536 0.0593 0.9727  5 S 2.46-2.62
9 Sn 0.7536 0.4407 0.4727  5 S 2.46-2.62
10 Sn 0.7464 0.0593 0.4727  5 S 2.46-2.62
11 Sn 0.2536 0.5593 0.0273  5 S 2.46-2.62
12 Sn 0.2464 0.9407 0.0273  5 S 2.46-2.62
13 S 0.0714 0.1345 0.5643  2 Sn 2.47-2.57
14 S 0.4286 0.3655 0.5643  2 Sn 2.47-2.57
15 S 0.5714 0.8655 0.9357  2 Sn 2.47-2.57
16 S 0.9286 0.6345 0.9357  2 Sn 2.47-2.57
17 S 0.9286 0.8655 0.4357  2 Sn 2.47-2.57
18 S 0.5714 0.6345 0.4357  2 Sn 2.47-2.57
19 S 0.4286 0.1345 0.0643  2 Sn 2.47-2.57
20 S 0.0714 0.3655 0.0643  2 Sn 2.47-2.57
21 S 0.0496 0.9718 0.8518  2 Sn 2.46-2.62
22 S 0.4504 0.5282 0.8518  2 Sn 2.46-2.62
23 S 0.5496 0.0282 0.6482  2 Sn 2.46-2.62
24 S 0.9504 0.4718 0.6482  2 Sn 2.46-2.62
25 S 0.9504 0.0282 0.1482  2 Sn 2.46-2.62
26 S 0.5496 0.4718 0.1482  2 Sn 2.46-2.62
27 S 0.4504 0.9718 0.3518  2 Sn 2.46-2.62
28 S 0.0496 0.5282 0.3518  2 Sn 2.46-2.62
29 S 0.7500 0.2500 0.8471  2 Sn 2.53
30 S 0.2500 0.7500 0.6529  2 Sn 2.53
31 S 0.2500 0.7500 0.1529  2 Sn 2.53
32 S 0.7500 0.2500 0.3471  2 Sn 2.53

## Properties
For the formation enthalpy at 0 K, the calculation gives -1146 meV/atom. The theoretical density is 4.18 g/cm³.

2.
Density functional theory data (PBE) for CaSiO3 after structural relaxation.

Cell: 9.5800 8.3632 14.7600 Å, 78.29 90.00 90.00°
With the nearest neighbours (Å) after each atom.
Atoms (fractional coordinates):
1 Ca 0.8846 0.9644 0.1908  3 O 2.27-2.38
2 Ca 0.3770 0.3548 0.9964  4 O 2.16-2.40
3 Ca 0.3750 0.7064 0.5010  2 O 2.17-2.20
4 Ca 0.8770 0.6452 0.5036  4 O 2.16-2.40
5 Ca 0.3846 0.0356 0.3092  3 O 2.27-2.38
6 Ca 0.6154 0.9644 0.6908  3 O 2.27-2.38
7 Ca 0.1154 0.0356 0.8092  3 O 2.27-2.38
8 Ca 0.8750 0.2936 0.9990  2 O 2.17-2.20
9 Ca 0.1230 0.3548 0.4964  4 O 2.16-2.40
10 Ca 0.6250 0.2936 0.4990  2 O 2.17-2.20
11 Ca 0.6230 0.6452 0.0036  4 O 2.16-2.40
12 Ca 0.1250 0.7064 0.0010  2 O 2.17-2.20
13 Si 0.6367 0.6761 0.6388  4 O 1.61-1.67
14 Si 0.1345 0.5001 0.6591  4 O 1.61-1.67
15 Si 0.3655 0.5001 0.1591  4 O 1.61-1.67
16 Si 0.8633 0.6761 0.1388  4 O 1.61-1.67
17 Si 0.1286 0.6985 0.8116  4 O 1.63-1.72
18 Si 0.8655 0.4999 0.3409  4 O 1.61-1.67
19 Si 0.6345 0.4999 0.8409  4 O 1.61-1.67
20 Si 0.3714 0.6985 0.3116  4 O 1.63-1.72
21 Si 0.8714 0.3015 0.1884  4 O 1.63-1.72
22 Si 0.1367 0.3239 0.8612  4 O 1.61-1.67
23 Si 0.3633 0.3239 0.3612  4 O 1.61-1.67
24 Si 0.6286 0.3015 0.6884  4 O 1.63-1.72
25 O 0.1284 0.5102 0.8850  2 Si 1.67-1.72
26 O 0.0070 0.2013 0.1633  1 Si 1.63
27 O 0.2352 0.2121 0.4084  1 Si 1.61
28 O 0.6284 0.4898 0.6150  2 Si 1.67-1.72
29 O 0.2464 0.8064 0.3454  1 Si 1.64
30 O 0.2648 0.2121 0.9084  1 Si 1.61
31 O 0.0074 0.5274 0.3948  1 Si 1.61
32 O 0.4926 0.5274 0.8948  1 Si 1.61
33 O 0.9961 0.2153 0.8892  1 Si 1.63
34 O 0.7352 0.7879 0.0916  1 Si 1.61
35 O 0.5074 0.4726 0.1052  1 Si 1.61
36 O 0.7536 0.1936 0.6546  1 Si 1.64
37 O 0.6547 0.6594 0.7528  2 Si 1.67
38 O 0.1375 0.6647 0.7057  2 Si 1.65-1.66
39 O 0.3716 0.5102 0.3850  2 Si 1.67-1.72
40 O 0.3453 0.3406 0.2472  2 Si 1.67
41 O 0.2566 0.5051 0.5819  1 Si 1.63
42 O 0.7648 0.7879 0.5916  1 Si 1.61
43 O 0.9930 0.7987 0.8367  1 Si 1.63
44 O 0.8625 0.3353 0.2943  2 Si 1.65-1.66
45 O 0.7434 0.4949 0.4181  1 Si 1.63
46 O 0.7566 0.4949 0.9181  1 Si 1.63
47 O 0.8716 0.4898 0.1150  2 Si 1.67-1.72
48 O 0.2434 0.5051 0.0819  1 Si 1.63
49 O 0.9926 0.4726 0.6052  1 Si 1.61
50 O 0.2536 0.8064 0.8454  1 Si 1.64
51 O 0.7464 0.1936 0.1546  1 Si 1.64
52 O 0.5039 0.2153 0.3892  1 Si 1.63
53 O 0.5070 0.7987 0.3367  1 Si 1.63
- - -

To do
Filter the rows further up: keep the lines with the word "Density".

Result
Density functional theory data (PBE) for BaSn2S5 after structural relaxation.
Density functional theory data (PBE) for CaSiO3 after structural relaxation.